Wanted.
Find the line underneath that holds "1.2602 -2.1826", then echo that line and all lines after it there.

File.
~~~
[1]
# C39H35ClN2Si2Sn

A molecular structure, C39H35ClN2Si2Sn in a non-equilibrium geometry (the ωB97M-V functional and the def2-TZVPD basis, the Open Molecules 2025 dataset).

Geometry as XYZ:
```
80
Properties=species:S:1:pos:R:3:lowdin_charge:R:1
C -1.6932 -1.4490 5.0277 -0.16
C -1.1095 -2.2968 4.0530 -0.19
C 0.1185 -1.7239 3.6542 -0.23
H -1.5319 -3.2150 3.6794 0.12
C 0.2977 -0.5220 4.3765 -0.19
C -0.8218 -0.3551 5.2254 -0.16
H -0.9855 0.4670 5.9025 0.13
H -2.6326 -1.6121 5.5296 0.13
H 0.8063 -2.1185 2.9269 0.11
H 1.1309 0.1508 4.2690 0.12
Sn -1.5509 -0.2878 3.0692 1.16
Si -0.4484 0.0499 0.8328 0.69
C -0.6784 -1.3758 -0.4038 -0.34
C -0.8445 -1.1521 -1.7729 -0.10
H -0.8006 -0.1383 -2.1530 0.08
C -1.0686 -2.1982 -2.6582 -0.09
H -1.1997 -1.9946 -3.7140 0.10
C -1.1166 -3.5055 -2.1937 -0.08
H -1.2877 -4.3236 -2.8818 0.10
C -0.9390 -3.7551 -0.8391 -0.08
H -0.9708 -4.7722 -0.4677 0.10
C -0.7317 -2.7009 0.0391 -0.12
H -0.6257 -2.9093 1.0966 0.08
C 1.4347 0.2398 1.0355 -0.33
C 2.3329 -0.7471 0.6221 -0.10
H 1.9642 -1.6121 0.0848 0.10
C 3.6950 -0.6409 0.8748 -0.08
H 4.3665 -1.4221 0.5398 0.10
C 4.1982 0.4657 1.5426 -0.09
H 5.2593 0.5512 1.7391 0.10
C 3.3245 1.4619 1.9607 -0.09
H 3.7055 2.3330 2.4801 0.10
C 1.9655 1.3422 1.7139 -0.13
H 1.3012 2.1236 2.0629 0.09
H -0.8358 1.2490 -0.0099 0.00
Si 1.6229 1.9299 -5.1314 0.34
C 3.2779 2.0563 -4.2850 -0.32
C 4.3295 1.2403 -4.7111 -0.10
H 4.1619 0.5018 -5.4852 0.10
C 5.5898 1.3499 -4.1423 -0.09
H 6.3918 0.7066 -4.4802 0.10
C 5.8193 2.2784 -3.1374 -0.09
H 6.8016 2.3631 -2.6910 0.10
C 4.7853 3.0966 -2.7034 -0.08
H 4.9591 3.8184 -1.9164 0.10
C 3.5263 2.9872 -3.2739 -0.11
H 2.7250 3.6212 -2.9171 0.08
C 1.3160 0.2071 -5.7545 -0.33
C 1.4777 -0.8970 -4.9131 -0.11
H 1.7776 -0.7504 -3.8826 0.11
C 1.2602 -2.1826 -5.3813 -0.09
H 1.3865 -3.0281 -4.7177 0.10
C 0.8796 -2.3859 -6.7017 -0.08
H 0.7105 -3.3902 -7.0676 0.10
C 0.7170 -1.3011 -7.5505 -0.08
H 0.4203 -1.4570 -8.5792 0.10
C 0.9330 -0.0140 -7.0787 -0.11
H 0.7993 0.8261 -7.7494 0.09
H 1.4919 2.8770 -6.2626 -0.01
Cl 0.1459 2.4823 -3.7586 0.28
C -5.5168 -2.0459 2.8134 -0.12
C -6.3202 -1.0803 3.4241 -0.12
C -5.7531 0.1113 3.8862 -0.03
C -4.3692 0.3082 3.7384 -0.27
N -3.6108 -0.6551 3.1628 -0.13
C -4.1473 -1.8117 2.6867 -0.15
C -3.6447 1.5309 4.0971 -0.26
C -4.2379 2.6746 4.6528 -0.03
C -3.4438 3.7979 4.8930 -0.12
C -2.0850 3.7754 4.5691 -0.12
C -1.5304 2.6179 4.0154 -0.16
N -2.3163 1.5278 3.8023 -0.13
H -5.9494 -2.9680 2.4470 0.09
H -7.3838 -1.2520 3.5281 0.09
H -6.3926 0.8566 4.3351 0.10
H -3.5139 -2.5587 2.2259 0.09
H -5.2905 2.7123 4.8944 0.10
H -3.8848 4.6875 5.3246 0.09
H -1.4671 4.6442 4.7531 0.09
H -0.4760 2.5847 3.7780 0.09
```

Properties
**LUMO**: 0.012 Eh
**HOMO-LUMO gap**: 0.163 Ha
**Relative energy (zero: lowest compared OMol25 entry of this formula, charge and spin)**: 34.5 kcal/mol

[2]
# C39H35F5FeN7O2S4

A molecular structure, C39H35F5FeN7O2S4 (the ωB97M-V functional and the def2-TZVPD basis, the Open Molecules 2025 dataset).

Geometry as XYZ:
```
93
Properties=species:S:1:pos:R:3:lowdin_charge:R:1
Fe 0.5902 -0.3501 1.1421 1.00
C 0.1146 3.6420 3.2134 -0.07
C 0.6910 2.4424 2.8034 -0.08
N -0.0552 1.4424 2.3618 0.07
C -1.3833 1.6272 2.3123 -0.16
C -1.9376 2.8299 2.7175 -0.03
N -1.1930 3.8372 3.1638 0.13
C -2.1876 0.4766 1.8157 -0.16
C -3.5673 0.4575 1.7387 0.08
C -4.2094 -0.6923 1.2794 -0.10
C -3.4297 -1.7944 0.9270 0.08
C -2.0558 -1.7083 1.0331 -0.17
N -1.4658 -0.5897 1.4590 0.08
C -1.1108 -2.7990 0.6952 -0.20
C -1.4968 -4.0837 0.3559 -0.05
N -0.6121 -5.0305 0.0667 0.13
C 0.6676 -4.7015 0.1260 -0.09
C 1.0812 -3.4178 0.4673 -0.07
N 0.1904 -2.4786 0.7542 0.07
C -5.6843 -0.7460 1.1712 -0.18
C -6.3817 -1.8959 1.5183 -0.01
C -7.7645 -1.8946 1.4018 -0.11
N -8.4599 -0.8507 0.9608 0.09
C -7.7866 0.2458 0.6273 -0.11
C -6.4063 0.3512 0.7200 -0.01
H 0.7298 4.4520 3.5843 0.13
H 1.7609 2.3028 2.8299 0.10
H -3.0052 3.0014 2.6804 0.13
H -4.1575 1.3063 2.0514 0.13
H -3.9051 -2.6890 0.5524 0.13
H -2.5406 -4.3657 0.3107 0.13
H 1.3958 -5.4689 -0.1018 0.12
~~~

Response.
C 1.2602 -2.1826 -5.3813 -0.09
H 1.3865 -3.0281 -4.7177 0.10
C 0.8796 -2.3859 -6.7017 -0.08
H 0.7105 -3.3902 -7.0676 0.10
C 0.7170 -1.3011 -7.5505 -0.08
H 0.4203 -1.4570 -8.5792 0.10
C 0.9330 -0.0140 -7.0787 -0.11
H 0.7993 0.8261 -7.7494 0.09
H 1.4919 2.8770 -6.2626 -0.01
Cl 0.1459 2.4823 -3.7586 0.28
C -5.5168 -2.0459 2.8134 -0.12
C -6.3202 -1.0803 3.4241 -0.12
C -5.7531 0.1113 3.8862 -0.03
C -4.3692 0.3082 3.7384 -0.27
N -3.6108 -0.6551 3.1628 -0.13
C -4.1473 -1.8117 2.6867 -0.15
C -3.6447 1.5309 4.0971 -0.26
C -4.2379 2.6746 4.6528 -0.03
C -3.4438 3.7979 4.8930 -0.12
C -2.0850 3.7754 4.5691 -0.12
C -1.5304 2.6179 4.0154 -0.16
N -2.3163 1.5278 3.8023 -0.13
H -5.9494 -2.9680 2.4470 0.09
H -7.3838 -1.2520 3.5281 0.09
H -6.3926 0.8566 4.3351 0.10
H -3.5139 -2.5587 2.2259 0.09
H -5.2905 2.7123 4.8944 0.10
H -3.8848 4.6875 5.3246 0.09
H -1.4671 4.6442 4.7531 0.09
H -0.4760 2.5847 3.7780 0.09
```

Properties
**LUMO**: 0.012 Eh
**HOMO-LUMO gap**: 0.163 Ha
**Relative energy (zero: lowest compared OMol25 entry of this formula, charge and spin)**: 34.5 kcal/mol

[2]
# C39H35F5FeN7O2S4

A molecular structure, C39H35F5FeN7O2S4 (the ωB97M-V functional and the def2-TZVPD basis, the Open Molecules 2025 dataset).

Geometry as XYZ:
```
93
Properties=species:S:1:pos:R:3:lowdin_charge:R:1
Fe 0.5902 -0.3501 1.1421 1.00
C 0.1146 3.6420 3.2134 -0.07
C 0.6910 2.4424 2.8034 -0.08
N -0.0552 1.4424 2.3618 0.07
C -1.3833 1.6272 2.3123 -0.16
C -1.9376 2.8299 2.7175 -0.03
N -1.1930 3.8372 3.1638 0.13
C -2.1876 0.4766 1.8157 -0.16
C -3.5673 0.4575 1.7387 0.08
C -4.2094 -0.6923 1.2794 -0.10
C -3.4297 -1.7944 0.9270 0.08
C -2.0558 -1.7083 1.0331 -0.17
N -1.4658 -0.5897 1.4590 0.08
C -1.1108 -2.7990 0.6952 -0.20
C -1.4968 -4.0837 0.3559 -0.05
N -0.6121 -5.0305 0.0667 0.13
C 0.6676 -4.7015 0.1260 -0.09
C 1.0812 -3.4178 0.4673 -0.07
N 0.1904 -2.4786 0.7542 0.07
C -5.6843 -0.7460 1.1712 -0.18
C -6.3817 -1.8959 1.5183 -0.01
C -7.7645 -1.8946 1.4018 -0.11
N -8.4599 -0.8507 0.9608 0.09
C -7.7866 0.2458 0.6273 -0.11
C -6.4063 0.3512 0.7200 -0.01
H 0.7298 4.4520 3.5843 0.13
H 1.7609 2.3028 2.8299 0.10
H -3.0052 3.0014 2.6804 0.13
H -4.1575 1.3063 2.0514 0.13
H -3.9051 -2.6890 0.5524 0.13
H -2.5406 -4.3657 0.3107 0.13
H 1.3958 -5.4689 -0.1018 0.12